# Job
What is needed: give back the block further down from the first line to the one with "-0.85 6.06" unchanged.

# Input
/*
No. 1
A molecular structure, C6H9N at a distorted geometry. Source: the Open Molecules 2025 dataset; level of theory: the ωB97M-V functional and the def2-TZVPD basis.

Geometry as ORCA input:
```
! wB97M-V def2-TZVPD RIJCOSX def2/J DEFGRID3
* xyz 0 3
C -2.64 -1.04 0.20
C -0.70 0.63 -0.43
C -3.43 0.72 -0.22
C 1.83 0.34 -0.15
C -1.96 0.15 -0.19
C 2.06 -1.11 0.02
N -3.88 -0.64 0.15
H -2.22 -1.98 0.52
H 1.84 1.12 0.54
H -0.68 1.72 -0.78
H -3.68 1.44 0.61
H -3.79 1.05 -1.25
H 2.05 0.62 -1.16
H 1.71 -1.41 -0.93
H 1.44 -1.58 0.89
H 3.14 -1.12 0.26
*
```

Values from the calculation:
HOMO level (spin up / spin down) = -0.2622 / -0.3500 Ha
Energy relative to the best compared isomer or geometry (same formula, charge and spin) = 299.3 kJ/mol
Frontier orbital gap (spin up / spin down) = 7.493 / 7.798 eV

No. 2
2 unconnected molecules or ions with the total composition CH4N5 at a distorted geometry. Source: the Open Molecules 2025 dataset; level of theory: the ωB97M-V functional and the def2-TZVPD basis.

Geometry as ORCA input:
```
! wB97M-V def2-TZVPD RIJCOSX def2/J DEFGRID3
* xyz 1 1
C 2.68 -0.40 -0.18
N -2.36 -0.62 0.00
N -1.15 -0.92 -0.15
N -1.20 1.16 0.35
N -2.40 0.71 0.33
N -0.39 0.16 0.06
H 3.62 -0.91 -0.30
H 2.02 -0.68 0.69
H 2.38 0.16 -1.06
H -3.19 1.32 0.27
*
```

Values from the calculation:
HOMO level = -0.5677 Ha
Energy relative to the best compared isomer or geometry (same formula, charge and spin) = 502.5 kJ/mol
Frontier orbital gap = 5.873 eV

No. 3
2 unconnected molecules or ions with the total composition C4H9NO. Source: the Open Molecules 2025 dataset; level of theory: the ωB97M-V functional and the def2-TZVPD basis.

Geometry as ORCA input:
```
! wB97M-V def2-TZVPD RIJCOSX def2/J DEFGRID3
* xyz 0 1
C 1.27 0.60 -0.59
C -2.17 0.51 -0.86
C -1.62 0.73 0.32
O -1.32 1.06 1.40
N 0.46 -0.52 -0.15
C 0.86 -1.07 1.13
H 2.35 0.35 -0.66
H 0.91 0.93 -1.57
H 1.15 1.42 0.11
H -3.10 1.03 -1.07
H -1.73 -0.15 -1.59
H 0.44 -1.24 -0.87
H 1.94 -1.26 1.19
H 0.58 -0.38 1.92
H 0.33 -2.01 1.29
*
```

Values from the calculation:
HOMO level = -0.3218 Ha
Energy relative to the best compared isomer or geometry (same formula, charge and spin) = 215.8 kJ/mol
Frontier orbital gap = 9.712 eV

No. 4
5 unconnected molecules or ions with the total composition C35H34BrF35IO10P at a distorted geometry. Source: the Open Molecules 2025 dataset; level of theory: the ωB97M-V functional and the def2-TZVPD basis.

Geometry as ORCA input:
```
! wB97M-V def2-TZVPD RIJCOSX def2/J DEFGRID3
* xyz 0 1
C 6.92 -0.93 -0.82
C 5.80 0.01 -1.25
O 5.98 1.10 -1.57
O 4.51 -0.56 -1.23
C 3.98 -0.50 -2.52
O 4.57 -0.92 -3.41
C 2.61 0.20 -2.67
C 1.43 -0.80 -2.35
C 1.74 -1.96 -3.35
O 2.27 -2.96 -3.19
O 1.19 -1.49 -4.54
C 0.15 -0.51 -4.38
P 0.25 1.08 -5.37
O 1.16 2.21 -4.56
Br 1.56 0.48 -7.11
C 0.01 -0.48 -2.83
C -0.86 -1.80 -2.57
C -0.61 -2.49 -1.20
C -1.95 -3.01 -0.60
I -3.17 -4.09 -2.00
C -0.86 0.59 -2.12
C -0.19 1.95 -1.81
C -0.30 2.41 -0.38
F 0.28 3.60 -0.11
C -0.94 1.81 0.64
F -0.60 0.59 1.00
F -1.92 2.43 1.27
H 6.53 -1.95 -0.88
H 7.78 -0.82 -1.50
H 7.25 -0.71 0.20
H 2.56 0.47 -3.73
H 2.64 1.05 -1.99
H 1.60 -1.01 -1.28
H -0.81 -0.93 -4.75
H 0.54 2.93 -4.36
H -0.81 -2.51 -3.40
H -1.91 -1.43 -2.55
H -0.02 -3.40 -1.40
H -0.15 -1.84 -0.44
H -2.53 -2.14 -0.25
H -1.73 -3.70 0.22
H -1.32 0.11 -1.24
H -1.71 0.79 -2.80
H -0.72 2.73 -2.40
H 0.86 2.03 -2.11
C -1.59 6.59 -1.92
C -1.43 6.01 -3.34
C -1.70 6.97 -4.50
F -2.96 7.46 -4.48
F -1.54 6.32 -5.68
F -2.20 4.90 -3.45
F -0.14 5.59 -3.46
O -2.82 6.35 -1.26
C -3.88 7.21 -1.52
C -5.04 6.49 -2.23
F -4.64 5.93 -3.38
F -6.02 7.38 -2.52
F -3.46 8.29 -2.20
F -4.32 7.65 -0.33
H -0.85 6.06 -1.31
H -1.29 7.64 -1.87
H -1.00 7.81 -4.48
H -5.45 5.71 -1.59
C -7.17 -1.22 0.35
C -5.80 -0.87 -0.25
C -5.45 0.62 -0.32
F -6.32 1.31 -1.08
F -4.22 0.77 -0.88
F -5.68 -1.45 -1.46
F -4.86 -1.46 0.55
O -8.23 -1.46 -0.56
C -8.93 -0.37 -1.06
C -8.73 -0.20 -2.57
F -7.43 -0.06 -2.88
F -9.37 0.91 -3.00
F -8.62 0.74 -0.37
F -10.24 -0.62 -0.83
H -7.04 -2.18 0.86
*/

# Result
No. 1
A molecular structure, C6H9N at a distorted geometry. Source: the Open Molecules 2025 dataset; level of theory: the ωB97M-V functional and the def2-TZVPD basis.

Geometry as ORCA input:
```
! wB97M-V def2-TZVPD RIJCOSX def2/J DEFGRID3
* xyz 0 3
C -2.64 -1.04 0.20
C -0.70 0.63 -0.43
C -3.43 0.72 -0.22
C 1.83 0.34 -0.15
C -1.96 0.15 -0.19
C 2.06 -1.11 0.02
N -3.88 -0.64 0.15
H -2.22 -1.98 0.52
H 1.84 1.12 0.54
H -0.68 1.72 -0.78
H -3.68 1.44 0.61
H -3.79 1.05 -1.25
H 2.05 0.62 -1.16
H 1.71 -1.41 -0.93
H 1.44 -1.58 0.89
H 3.14 -1.12 0.26
*
```

Values from the calculation:
HOMO level (spin up / spin down) = -0.2622 / -0.3500 Ha
Energy relative to the best compared isomer or geometry (same formula, charge and spin) = 299.3 kJ/mol
Frontier orbital gap (spin up / spin down) = 7.493 / 7.798 eV

No. 2
2 unconnected molecules or ions with the total composition CH4N5 at a distorted geometry. Source: the Open Molecules 2025 dataset; level of theory: the ωB97M-V functional and the def2-TZVPD basis.

Geometry as ORCA input:
```
! wB97M-V def2-TZVPD RIJCOSX def2/J DEFGRID3
* xyz 1 1
C 2.68 -0.40 -0.18
N -2.36 -0.62 0.00
N -1.15 -0.92 -0.15
N -1.20 1.16 0.35
N -2.40 0.71 0.33
N -0.39 0.16 0.06
H 3.62 -0.91 -0.30
H 2.02 -0.68 0.69
H 2.38 0.16 -1.06
H -3.19 1.32 0.27
*
```

Values from the calculation:
HOMO level = -0.5677 Ha
Energy relative to the best compared isomer or geometry (same formula, charge and spin) = 502.5 kJ/mol
Frontier orbital gap = 5.873 eV

No. 3
2 unconnected molecules or ions with the total composition C4H9NO. Source: the Open Molecules 2025 dataset; level of theory: the ωB97M-V functional and the def2-TZVPD basis.

Geometry as ORCA input:
```
! wB97M-V def2-TZVPD RIJCOSX def2/J DEFGRID3
* xyz 0 1
C 1.27 0.60 -0.59
C -2.17 0.51 -0.86
C -1.62 0.73 0.32
O -1.32 1.06 1.40
N 0.46 -0.52 -0.15
C 0.86 -1.07 1.13
H 2.35 0.35 -0.66
H 0.91 0.93 -1.57
H 1.15 1.42 0.11
H -3.10 1.03 -1.07
H -1.73 -0.15 -1.59
H 0.44 -1.24 -0.87
H 1.94 -1.26 1.19
H 0.58 -0.38 1.92
H 0.33 -2.01 1.29
*
```

Values from the calculation:
HOMO level = -0.3218 Ha
Energy relative to the best compared isomer or geometry (same formula, charge and spin) = 215.8 kJ/mol
Frontier orbital gap = 9.712 eV

No. 4
5 unconnected molecules or ions with the total composition C35H34BrF35IO10P at a distorted geometry. Source: the Open Molecules 2025 dataset; level of theory: the ωB97M-V functional and the def2-TZVPD basis.

Geometry as ORCA input:
```
! wB97M-V def2-TZVPD RIJCOSX def2/J DEFGRID3
* xyz 0 1
C 6.92 -0.93 -0.82
C 5.80 0.01 -1.25
O 5.98 1.10 -1.57
O 4.51 -0.56 -1.23
C 3.98 -0.50 -2.52
O 4.57 -0.92 -3.41
C 2.61 0.20 -2.67
C 1.43 -0.80 -2.35
C 1.74 -1.96 -3.35
O 2.27 -2.96 -3.19
O 1.19 -1.49 -4.54
C 0.15 -0.51 -4.38
P 0.25 1.08 -5.37
O 1.16 2.21 -4.56
Br 1.56 0.48 -7.11
C 0.01 -0.48 -2.83
C -0.86 -1.80 -2.57
C -0.61 -2.49 -1.20
C -1.95 -3.01 -0.60
I -3.17 -4.09 -2.00
C -0.86 0.59 -2.12
C -0.19 1.95 -1.81
C -0.30 2.41 -0.38
F 0.28 3.60 -0.11
C -0.94 1.81 0.64
F -0.60 0.59 1.00
F -1.92 2.43 1.27
H 6.53 -1.95 -0.88
H 7.78 -0.82 -1.50
H 7.25 -0.71 0.20
H 2.56 0.47 -3.73
H 2.64 1.05 -1.99
H 1.60 -1.01 -1.28
H -0.81 -0.93 -4.75
H 0.54 2.93 -4.36
H -0.81 -2.51 -3.40
H -1.91 -1.43 -2.55
H -0.02 -3.40 -1.40
H -0.15 -1.84 -0.44
H -2.53 -2.14 -0.25
H -1.73 -3.70 0.22
H -1.32 0.11 -1.24
H -1.71 0.79 -2.80
H -0.72 2.73 -2.40
H 0.86 2.03 -2.11
C -1.59 6.59 -1.92
C -1.43 6.01 -3.34
C -1.70 6.97 -4.50
F -2.96 7.46 -4.48
F -1.54 6.32 -5.68
F -2.20 4.90 -3.45
F -0.14 5.59 -3.46
O -2.82 6.35 -1.26
C -3.88 7.21 -1.52
C -5.04 6.49 -2.23
F -4.64 5.93 -3.38
F -6.02 7.38 -2.52
F -3.46 8.29 -2.20
F -4.32 7.65 -0.33
H -0.85 6.06 -1.31